Wanted =
It remains to return every line further down that contains the word "Record".
Given =
+++
Record 1
DFT (the ωB97M-V functional and the def2-TZVPD basis) results for a molecular structure, C16H16B2Ba2Br8O16.

```
60
Properties=species:S:1:pos:R:3:forces:R:3
Ba -0.3698 0.2983 5.6196 -0.4 -0.9 -1.4
Ba -3.4456 2.2244 -3.6742 0.4 -0.5 0.7
O -0.5838 2.2092 -2.4775 -0.3 0.7 -0.4
C -0.4658 1.3425 -1.6567 0.0 -0.6 0.4
O 0.4926 1.1302 -0.8062 -0.3 -0.3 0.1
B 0.1988 -0.1163 -0.0423 0.0 -0.2 -0.1
O -1.0573 -0.6396 -0.6590 -0.2 0.0 0.1
C -1.4748 0.1979 -1.5462 1.4 -0.3 0.1
O -2.3870 0.0731 -2.3184 -1.4 0.2 -0.6
O -0.0571 0.1593 1.4032 0.1 -0.2 0.3
C 0.7458 -0.5925 2.1112 0.0 0.7 -0.2
O 0.7929 -0.6379 3.3270 -0.4 0.4 0.6
C 1.7274 -1.2908 1.1541 -1.6 -0.1 -0.2
O 1.2834 -1.0762 -0.0846 -0.4 0.3 0.0
O 2.6714 -1.8831 1.5008 1.4 -0.8 0.4
O -5.0683 1.1672 -1.8734 0.1 0.7 -1.4
C -4.9809 0.5619 -0.8356 0.4 -0.6 1.0
O -4.4287 1.0470 0.2374 0.6 0.2 0.0
B -4.4871 0.0610 1.3392 -1.9 0.1 0.3
O -5.2653 -1.0515 0.7772 1.1 -0.3 -0.3
C -5.4639 -0.8789 -0.5306 -1.1 0.3 0.4
O -6.0557 -1.5874 -1.2759 0.4 0.0 -0.2
O -3.1845 -0.2785 1.9240 0.1 -0.2 0.2
C -3.2374 -0.1124 3.2217 -0.2 -0.2 -1.2
O -2.3138 -0.3932 3.9519 1.0 0.5 1.2
C -4.6173 0.4715 3.6049 0.1 -0.3 -0.6
O -5.2694 0.6199 2.4712 0.3 0.1 0.2
O -4.9510 0.6920 4.7208 -0.1 0.3 0.5
Br 6.9702 -2.8482 -1.1966 0.0 0.2 0.0
C 5.1433 -2.7395 -0.5326 0.2 -5.0 -0.6
C 4.8827 -3.8592 0.4547 0.2 0.6 -0.2
Br 4.6409 -5.5356 -0.4785 0.0 -0.3 0.2
H 4.5082 -2.8884 -1.4002 -0.1 0.3 -0.2
H 5.0016 -1.7501 -0.1134 -0.8 -7.4 -0.7
H 3.9715 -3.6684 1.0131 0.0 -0.1 -0.1
H 5.7134 -3.9036 1.1539 0.0 -0.5 0.0
Br 5.1523 -0.3497 0.0295 0.4 11.5 1.4
C 3.5517 0.7283 -0.1691 0.3 1.2 0.0
C 3.9595 2.1803 -0.0169 1.0 -0.7 0.5
Br 2.4663 3.3960 -0.1009 0.0 0.3 0.2
H 2.8645 0.4233 0.6140 0.4 0.4 -0.1
H 3.1220 0.5174 -1.1437 0.1 -0.1 0.0
H 4.7281 2.4611 -0.7322 -0.4 0.1 -0.4
H 4.4646 2.2696 0.9456 -0.4 0.4 0.1
Br -2.0063 -3.9824 3.3810 -0.1 -0.1 -0.1
C -2.6168 -3.9130 1.5375 -0.5 0.2 -0.2
C -1.5244 -3.4949 0.5791 -0.3 0.0 0.9
Br 0.1159 -4.5023 0.6522 0.0 -0.2 -0.1
H -3.3647 -3.1186 1.5175 0.0 0.0 0.1
H -3.1658 -4.8111 1.2678 0.5 -0.4 0.3
H -1.2588 -2.4921 0.9021 0.0 0.1 -0.6
H -1.9325 -3.5507 -0.4249 0.2 0.2 -0.1
Br 2.9547 5.7320 -2.8870 0.0 0.2 -0.1
C 1.0635 5.4177 -2.7521 -0.3 -0.9 0.4
C 0.4222 5.5756 -4.1120 0.7 0.6 0.5
Br -1.4205 4.8964 -3.9152 -0.4 0.3 -0.4
H 0.6154 6.0232 -1.9676 0.2 0.5 -0.3
H 0.9175 4.3975 -2.3913 0.3 0.0 -0.3
H 0.9566 5.0500 -4.8956 -0.3 -0.4 0.0
H 0.3554 6.6221 -4.4016 -0.4 -0.1 0.0
```
Positions in Å, forces in eV/Å.

Computed properties:
gap between HOMO and LUMO	4.57	eV
energy	-612687.786	eV
ΔE to the lowest compared entry with this formula, charge and spin	464.94	kJ/mol
strongest force on any atom	0.22452	hartree/bohr
HOMO level	-11.45	eV
LUMO	-6.88	eV
net charge	+2

Record 2
DFT (the ωB97M-V functional and the def2-TZVPD basis) results for a molecular structure, C16H16BClCoN6.

```
41
Properties=species:S:1:pos:R:3:forces:R:3
Co -0.7496 -0.2147 0.5384 0.2 0.0 -0.3
C -2.4889 2.9380 -1.7024 0.0 0.0 0.0
C -2.2067 2.3849 -0.4596 0.0 0.0 0.1
N -1.5414 1.2369 -0.6039 0.0 0.0 -0.1
N -1.3885 1.0315 -1.9354 0.1 -0.1 0.1
C -1.9487 2.0418 -2.6081 0.0 0.0 -0.1
B -0.6575 -0.2384 -2.4576 0.0 0.0 -0.1
N -1.4231 -1.4841 -1.9431 0.0 0.1 0.1
C -1.9987 -2.4911 -2.6149 0.0 0.0 -0.1
C -2.5602 -3.3668 -1.7080 0.0 0.0 0.0
C -2.2758 -2.8085 -0.4634 0.0 0.0 0.0
N -1.5920 -1.6763 -0.6131 -0.1 0.0 0.0
N 0.7764 -0.2607 -1.8540 -0.1 0.0 0.1
C 1.9662 -0.2859 -2.4615 0.0 0.0 -0.1
C 2.9608 -0.3051 -1.4985 0.0 0.0 0.0
C 2.2734 -0.2877 -0.2913 0.0 0.0 0.1
N 0.9575 -0.2579 -0.5090 0.0 -0.1 -0.1
H -3.0109 3.8540 -1.9151 0.0 0.0 0.0
H -2.4517 2.7556 0.5238 0.0 0.0 0.0
H -1.9274 2.0573 -3.6855 0.0 0.0 0.0
H -0.6098 -0.2348 -3.6535 0.0 0.0 0.1
H -1.9684 -2.5149 -3.6919 0.0 0.0 0.0
H -3.0957 -4.2759 -1.9168 0.0 0.0 0.0
H -2.5300 -3.1682 0.5213 0.0 0.0 0.0
H 2.0287 -0.2909 -3.5375 0.0 0.0 0.0
H 4.0248 -0.3309 -1.6541 0.0 0.0 0.0
H 2.6559 -0.2952 0.7174 0.0 0.0 -0.1
Cl 1.0381 -2.3478 3.4513 0.0 0.0 0.0
C 1.4787 -0.7033 3.2009 0.0 0.0 -0.1
+++
Solution =
Record 1
Record 2